**What to do:**
Give back every line further below that contains the word "Sc".

**Material:**
<<<
# 1
Below is the molecule C4H6O2, with properties calculated with ωB97M-V/def2-TZVPD.

The energy relative to the best compared isomer or geometry (same formula, charge and spin) comes out at 340.2 kJ/mol. For the frontier orbital gap, the calculation gives 0.3982 hartree. The structure (SMILES) is C#C[C@H](O)CO.

Last column: Mulliken charge in e.
Geometry (Å):
1 O -0.345 -1.147 -1.219  -0.528
2 C -0.904 0.037 -0.682  -0.514
3 C 0.037 0.941 0.221  0.531
4 O -0.655 1.322 1.402  -0.532
5 C 1.198 0.093 0.490  -0.493
6 C 1.685 -0.984 0.240  -0.265
7 H -0.473 -1.898 -0.628  0.329
8 H -1.783 -0.189 -0.073  0.303
9 H -1.191 0.600 -1.569  0.256
10 H 0.315 1.850 -0.331  0.162
11 H -0.004 1.307 2.114  0.341
12 H 2.121 -1.933 0.035  0.410

# 2
Below is a structure of composition C22H25F6INO4PS4SbScSeSi, with properties calculated with ωB97M-V/def2-TZVPD.

Its net charge is -1. The expectation value of S² is 0.767. The energy relative to the best compared isomer or geometry (same formula, charge and spin) comes out at 97.4 kJ/mol. For the frontier orbital gap (alpha / beta), the calculation gives 0.2433 / 0.2395 hartree. The spin multiplicity is 2.

Last column: Mulliken spin population.
Geometry (Å):
1 Sc -0.304 0.131 0.009  0.019
2 O 0.748 2.141 7.539  0.030
3 C 0.786 1.897 6.362  0.013
4 S 2.161 2.240 5.316  -0.006
5 C 1.537 1.532 3.822  0.035
6 C 0.252 0.968 3.919  0.208
7 S -0.700 0.205 2.749  0.246
8 S -0.500 1.036 5.505  0.020
9 S 2.511 1.593 2.477  0.424
10 O 1.282 3.837 -1.023  -0.002
11 C 0.826 2.731 -1.189  0.006
12 O 0.725 1.801 -0.272  -0.011
13 C 0.318 2.278 -2.568  0.001
14 P 0.364 0.455 -2.606  0.000
15 C -0.455 -0.030 -4.153  -0.001
16 C 0.141 0.160 -5.398  0.000
17 C -0.539 -0.184 -6.555  0.000
18 C -1.818 -0.720 -6.474  0.000
19 C -2.414 -0.915 -5.237  0.000
20 C -1.734 -0.574 -4.077  -0.003
21 C 2.117 0.049 -2.875  0.000
22 C 2.449 -1.301 -3.019  0.000
23 C 3.773 -1.684 -3.144  0.000
24 C 4.783 -0.729 -3.106  0.000
25 C 4.461 0.609 -2.944  0.000
26 C 3.131 1.000 -2.830  0.000
27 H 0.864 2.773 -3.371  0.000
28 H -0.736 2.561 -2.640  0.000
29 H 1.143 0.571 -5.458  0.000
30 H -0.072 -0.036 -7.520  0.000
31 H -2.348 -0.990 -7.379  0.000
32 H -3.409 -1.337 -5.171  0.000
33 H -2.195 -0.720 -3.107  0.003
34 H 1.666 -2.050 -3.013  0.000
35 H 4.019 -2.733 -3.246  0.000
36 H 5.819 -1.033 -3.186  0.000
37 H 5.243 1.356 -2.901  0.000
38 H 2.900 2.049 -2.690  0.000
39 F -1.089 -1.817 0.504  -0.009
40 Sb -0.569 -3.630 -0.182  0.004
41 F -0.462 -2.664 -1.807  0.000
42 F -2.443 -3.764 -0.302  0.000
43 F -0.570 -5.395 -0.827  0.000
44 F -0.449 -4.037 1.648  0.001
45 F 1.316 -3.664 -0.224  0.000
46 C -4.954 -0.981 -1.614  0.000
47 Si -4.421 -0.005 -0.102  0.000
48 C -5.739 1.261 0.315  0.000
49 C -4.187 -1.158 1.347  0.003
50 Se -2.546 1.167 -0.616  0.001
51 H -5.955 -1.397 -1.478  0.000
52 H -4.263 -1.810 -1.788  0.000
53 H -4.959 -0.345 -2.502  0.000
54 H -6.713 0.779 0.437  0.000
55 H -5.820 2.013 -0.471  0.000
56 H -5.489 1.774 1.245  0.000
57 H -5.118 -1.695 1.550  0.000
58 H -3.908 -0.599 2.242  0.000
59 H -3.408 -1.891 1.146  -0.001
60 N 2.274 -1.772 2.295  -0.003
61 C 2.405 -1.245 1.086  -0.006
62 O 1.412 -1.044 0.374  0.021
63 C 3.780 -0.923 0.578  -0.005
64 I 4.971 -2.686 0.390  0.001
65 H 1.342 -1.904 2.662  0.013
66 H 3.069 -1.903 2.895  0.003
67 H 4.302 -0.272 1.273  0.001
68 H 3.706 -0.465 -0.404  -0.005

# 3
Below is a structure of composition C4H8O2, with properties calculated with ωB97M-V/def2-TZVPD.

The energy relative to the best compared isomer or geometry (same formula, charge and spin) comes out at 257.7 kJ/mol. For the frontier orbital gap, the calculation gives 0.3789 hartree.

Last column: Mulliken charge in e.
Geometry (Å):
1 O -1.593 -0.150 -1.118  -0.543
2 C -1.397 -0.479 0.246  -0.740
3 C 0.095 -0.784 0.480  0.414
4 C 0.938 -0.104 -0.680  -0.571
5 C 1.228 0.910 0.417  -0.363
6 O 0.783 0.029 1.448  -0.469
7 H -1.597 0.803 -1.236  0.318
8 H -1.744 0.315 0.922  0.292
9 H -2.017 -1.367 0.408  0.322
>>>

**Outcome:**
1 Sc -0.304 0.131 0.009  0.019